Job.
Your job: say how many lines of the rows below hold the word "relaxation", as a bare number.
Contents.
=====
Record 1
# MgFe8O14F2

MgFe8O14F2 after structural relaxation (PBE+U, the Materials Project).

Cell: 7.2905 8.0627 5.7597 Å, 114.31 108.80 83.07°
Atoms (fractional coordinates):
O 0.0038 0.8311 0.6383
O 0.5173 0.3305 0.6683
O 0.3358 0.0099 0.6797
O 0.7519 0.5851 0.1409
O 0.1279 0.5037 0.3177
O 0.4750 0.6790 0.3275
O 0.0819 0.7623 0.1413
O 0.7298 0.9119 0.8247
O 0.6595 0.9703 0.3277
O 0.9920 0.1606 0.3518
O 0.2318 0.4342 0.8339
O 0.4149 0.7457 0.8352
O 0.6096 0.2316 0.1711
O 0.9144 0.2728 0.8678
Fe 0.2354 0.7510 0.4957
Fe 0.0064 0.9523 0.0168
Fe 0.7326 0.7810 0.4706
Fe 0.7352 0.2226 0.5240
Fe 0.5188 0.9896 0.9930
Fe 0.0152 0.5109 0.9775
Fe 0.4775 0.5466 0.9605
Fe 0.2681 0.2030 0.5568
F 0.8333 0.4958 0.6087
F 0.2763 0.0702 0.1679
Mg 0.8701 0.3631 0.2335

Output
Magnetic moment ... 36.00 μB per cell
Energy relative to the lowest polymorph listed for this composition ... 0.20 eV per formula unit
Crystal system ... triclinic
VASP energy ... -6.183 eV per atom
Total energy after the MP2020 corrections ... -183.16 eV/cell

Record 2
# Mn6O5F7

Mn6O5F7 after structural relaxation (PBE+U, the Materials Project).

Cell: 5.3011 5.3604 14.8635 Å, 93.38 92.50 93.75°
Atoms (fractional coordinates):
O 0.6923 0.3199 0.7722
O 0.2725 0.3599 0.5704
O 0.6931 0.7711 0.2433
O 0.8057 0.6140 0.6011
O 0.1791 0.1360 0.7511
O 0.1412 0.2612 0.4076
O 0.3004 0.2454 0.9286
O 0.5932 0.3780 0.1011
O 0.7591 0.2527 0.2557
O 0.3605 0.8590 0.0694
Mn 0.9833 0.4655 0.5027
Mn 0.4499 0.4933 0.3196
Mn 0.9284 0.0111 0.3246
Mn 0.9846 0.8885 0.6701
Mn 0.4504 0.5449 0.0039
Mn 0.8807 0.5394 0.1696
Mn 0.0991 0.0137 0.0022
Mn 0.0237 0.3730 0.8337
Mn 0.5261 0.4490 0.6695
Mn 0.3898 0.1071 0.4915
Mn 0.4939 0.0398 0.8287
Mn 0.5546 0.0494 0.1652
F 0.6553 0.3641 0.4334
F 0.1669 0.6579 0.2467
F 0.8647 0.8676 0.0857
F 0.2336 0.8612 0.5776
F 0.0866 0.3600 0.0855
F 0.7019 0.1168 0.5849
F 0.4894 0.8547 0.4078
F 0.3528 0.7327 0.8996
F 0.7206 0.8180 0.7541
F 0.8781 0.5779 0.9288
F 0.2608 0.1479 0.2437
F 0.9857 0.7680 0.4143
F 0.8154 0.0738 0.9213
F 0.2266 0.6274 0.7348

Output
Magnetic moment ... 50.00 μB per cell
Energy relative to the lowest polymorph listed for this composition ... 0.90 eV per formula unit
Crystal system ... triclinic
VASP energy ... -6.637 eV per atom
Total energy after the MP2020 corrections ... -272.29 eV/cell

Record 3
# Li2MnFeP2O8

Li2MnFeP2O8 after structural relaxation (PBE+U, the Materials Project).

Cell: 6.1304 10.5063 14.2962 Å, 89.92 90.00 90.00°
Atoms (fractional coordinates):
P 0.0000 0.4060 0.9712
P 0.0000 0.4057 0.6390
P 0.5000 0.5935 0.6958
P 0.0000 0.4068 0.3051
P 0.0000 0.9078 0.8610
P 0.0000 0.9077 0.1958
P 0.5000 0.5922 0.0284
P 0.5000 0.5927 0.3631
P 0.0000 0.9069 0.5281
P 0.5000 0.0944 0.1374
P 0.5000 0.0940 0.8047
P 0.5000 0.0935 0.4707
O 0.0000 0.0443 0.2371
O 0.5000 0.5975 0.5883
O 0.7974 0.3356 0.9272
O 0.2029 0.8363 0.5717
O 0.0000 0.5433 0.2625
O 0.5000 0.5961 0.2555
O 0.2028 0.3366 0.2617
O 0.2991 0.6630 0.7413
O 0.0000 0.5424 0.5971
O 0.2026 0.8376 0.9051
O 0.0000 0.9046 0.0879
O 0.5000 0.4549 0.4033
O 0.0000 0.5427 0.9290
O 0.7974 0.8376 0.9051
O 0.5000 0.0972 0.9122
O 0.2030 0.3362 0.5951
O 0.0000 0.0430 0.5707
O 0.5000 0.9564 0.7641
O 0.5000 0.0971 0.2447
O 0.7012 0.1638 0.0921
O 0.5000 0.5969 0.9207
O 0.7971 0.8363 0.5717
O 0.2990 0.1629 0.4255
O 0.2973 0.1637 0.7601
O 0.0000 0.4042 0.0784
O 0.5000 0.9568 0.0964
O 0.2014 0.8376 0.2399
O 0.7010 0.1629 0.4255
O 0.0000 0.4023 0.7468
O 0.0000 0.9050 0.4209
O 0.5000 0.4554 0.7359
O 0.5000 0.4546 0.0689
O 0.2987 0.6616 0.0732
O 0.2991 0.6628 0.4079
O 0.7027 0.1637 0.7601
O 0.0000 0.9045 0.7537
O 0.5000 0.9554 0.4309
O 0.7986 0.8376 0.2399
O 0.5000 0.0973 0.5787
O 0.7009 0.6628 0.4079
O 0.7009 0.6630 0.7413
O 0.0000 0.4049 0.4126
O 0.7970 0.3362 0.5951
O 0.2988 0.1638 0.0921
O 0.7972 0.3366 0.2617
O 0.0000 0.0449 0.9024
O 0.2026 0.3356 0.9272
O 0.7013 0.6616 0.0732
Fe 0.5000 0.2815 0.6579
Fe 0.0000 0.2183 0.8255
Fe 0.5000 0.7818 0.8420
Fe 0.5000 0.2814 0.9907
Fe 0.5000 0.7816 0.5089
=====
Solution.
3